To do
Your job: return the whole of the lines underneath word for word.

Excerpt
........
## i
A plane-wave DFT calculation with meta-GGA SCAN was carried out for a PBEsol-optimized structure of CdSi2.

Results
V, Å³ per atom: 25.57
Total moment, Bohr magnetons per cell: 0.0

CIF file:
```
data_CdSi2
_chemical_formula_sum 'Cd3 Si6'
_cell_length_a 6.7266
_cell_length_b 6.7266
_cell_length_c 5.8739
_cell_angle_alpha 90.00
_cell_angle_beta 90.00
_cell_angle_gamma 120.00
_symmetry_space_group_name_H-M 'P -3 1 m'
_symmetry_Int_Tables_number 162
_symmetry_space_group_name_Hall '-P 3 2'
loop_
_atom_site_label
_atom_site_type_symbol
_atom_site_fract_x
_atom_site_fract_y
_atom_site_fract_z
_atom_site_occupancy
Cd1 Cd 0.0000 0.0000 0.0000 1
Cd2 Cd 0.3333 0.6667 0.5000 1
Si1 Si 0.0000 0.2478 0.6493 1
```

=====

## ii
A plane-wave DFT calculation with meta-GGA SCAN was carried out for a PBEsol-optimized structure of CdSi2.

Results
V, Å³ per atom: 20.48
Total moment, Bohr magnetons per cell: 0.0

CIF file:
```
data_CdSi2
_chemical_formula_sum 'Cd4 Si8'
_cell_length_a 6.263
_cell_length_b 6.263
_cell_length_c 6.263
_cell_angle_alpha 90.00
_cell_angle_beta 90.00
_cell_angle_gamma 90.00
_symmetry_space_group_name_H-M 'F m -3 m'
_symmetry_Int_Tables_number 225
_symmetry_space_group_name_Hall '-F 4 2 3'
loop_
_atom_site_label
_atom_site_type_symbol
_atom_site_fract_x
_atom_site_fract_y
_atom_site_fract_z
_atom_site_occupancy
Cd1 Cd 0.000 0.000 0.000 1
Si1 Si 0.250 0.250 0.250 1
```

=====

The data favor i; the next most stable structure lies 23.3 kJ/mol of atoms above it.

=====

## i
A plane-wave DFT calculation with meta-GGA SCAN was carried out for a PBEsol-optimized structure of CdSi3.

Results
V, Å³ per atom: 17.26
Total moment, Bohr magnetons per cell: 0.0

CIF file:
```
data_CdSi3
_chemical_formula_sum 'Cd2 Si6'
_cell_length_a 5.168
_cell_length_b 5.168
_cell_length_c 5.168
_cell_angle_alpha 90.00
_cell_angle_beta 90.00
_cell_angle_gamma 90.00
_symmetry_space_group_name_H-M 'P m -3 n'
_symmetry_Int_Tables_number 223
_symmetry_space_group_name_Hall '-P 4n 2 3'
loop_
_atom_site_label
_atom_site_type_symbol
_atom_site_fract_x
_atom_site_fract_y
_atom_site_fract_z
_atom_site_occupancy
Cd1 Cd 0.000 0.000 0.000 1
Si1 Si 0.000 0.250 0.500 1
```

=====

## ii
A plane-wave DFT calculation with meta-GGA SCAN was carried out for a PBEsol-optimized structure of CdSi3.

Results
V, Å³ per atom: 16.86
Total moment, Bohr magnetons per cell: 0.0

CIF file:
```
data_CdSi3
_chemical_formula_sum 'Cd2 Si6'
_cell_length_a 5.474
_cell_length_b 9.090
_cell_length_c 2.710
_cell_angle_alpha 90.00
_cell_angle_beta 90.00
_cell_angle_gamma 90.00
_symmetry_space_group_name_H-M 'C m m m'
_symmetry_Int_Tables_number 65
_symmetry_space_group_name_Hall '-C 2 2'
loop_
_atom_site_label
_atom_site_type_symbol
_atom_site_fract_x
_atom_site_fract_y
_atom_site_fract_z
_atom_site_occupancy
Cd1 Cd 0.000 0.000 0.000 1
Si1 Si 0.000 0.500 0.000 1
Si2 Si 0.250 0.250 0.500 1
```

=====

The data favor ii; the next most stable structure lies 9.8 kJ/mol of atoms above it.

=====

## i
A plane-wave DFT calculation with meta-GGA SCAN was carried out for a PBEsol-optimized structure of CdSiTc2.

Results
V, Å³ per atom: 14.74
Total moment, Bohr magnetons per cell: 0.0

CIF file:
```
data_CdSiTc2
_chemical_formula_sum 'Cd4 Si4 Tc8'
_cell_length_a 6.178
_cell_length_b 6.178
_cell_length_c 6.178
_cell_angle_alpha 90.00
_cell_angle_beta 90.00
_cell_angle_gamma 90.00
_symmetry_space_group_name_H-M 'F -4 3 m'
_symmetry_Int_Tables_number 216
_symmetry_space_group_name_Hall 'F -4 2 3'
loop_
_atom_site_label
_atom_site_type_symbol
_atom_site_fract_x
_atom_site_fract_y
_atom_site_fract_z
_atom_site_occupancy
Cd1 Cd 0.000 0.000 0.000 1
Si1 Si 0.250 0.250 0.750 1
Tc1 Tc 0.000 0.000 0.500 1
Tc2 Tc 0.250 0.250 0.250 1
```

=====

## ii
A plane-wave DFT calculation with meta-GGA SCAN was carried out for a PBEsol-optimized structure of CdSiTc2.

Results
V, Å³ per atom: 14.42
Total moment, Bohr magnetons per cell: 0.0

CIF file:
```
data_CdSiTc2
_chemical_formula_sum 'Cd4 Si4 Tc8'
........

Written answer
## i
A plane-wave DFT calculation with meta-GGA SCAN was carried out for a PBEsol-optimized structure of CdSi2.

Results
V, Å³ per atom: 25.57
Total moment, Bohr magnetons per cell: 0.0

CIF file:
```
data_CdSi2
_chemical_formula_sum 'Cd3 Si6'
_cell_length_a 6.7266
_cell_length_b 6.7266
_cell_length_c 5.8739
_cell_angle_alpha 90.00
_cell_angle_beta 90.00
_cell_angle_gamma 120.00
_symmetry_space_group_name_H-M 'P -3 1 m'
_symmetry_Int_Tables_number 162
_symmetry_space_group_name_Hall '-P 3 2'
loop_
_atom_site_label
_atom_site_type_symbol
_atom_site_fract_x
_atom_site_fract_y
_atom_site_fract_z
_atom_site_occupancy
Cd1 Cd 0.0000 0.0000 0.0000 1
Cd2 Cd 0.3333 0.6667 0.5000 1
Si1 Si 0.0000 0.2478 0.6493 1
```

=====

## ii
A plane-wave DFT calculation with meta-GGA SCAN was carried out for a PBEsol-optimized structure of CdSi2.

Results
V, Å³ per atom: 20.48
Total moment, Bohr magnetons per cell: 0.0

CIF file:
```
data_CdSi2
_chemical_formula_sum 'Cd4 Si8'
_cell_length_a 6.263
_cell_length_b 6.263
_cell_length_c 6.263
_cell_angle_alpha 90.00
_cell_angle_beta 90.00
_cell_angle_gamma 90.00
_symmetry_space_group_name_H-M 'F m -3 m'
_symmetry_Int_Tables_number 225
_symmetry_space_group_name_Hall '-F 4 2 3'
loop_
_atom_site_label
_atom_site_type_symbol
_atom_site_fract_x
_atom_site_fract_y
_atom_site_fract_z
_atom_site_occupancy
Cd1 Cd 0.000 0.000 0.000 1
Si1 Si 0.250 0.250 0.250 1
```

=====

The data favor i; the next most stable structure lies 23.3 kJ/mol of atoms above it.

=====

## i
A plane-wave DFT calculation with meta-GGA SCAN was carried out for a PBEsol-optimized structure of CdSi3.

Results
V, Å³ per atom: 17.26
Total moment, Bohr magnetons per cell: 0.0

CIF file:
```
data_CdSi3
_chemical_formula_sum 'Cd2 Si6'
_cell_length_a 5.168
_cell_length_b 5.168
_cell_length_c 5.168
_cell_angle_alpha 90.00
_cell_angle_beta 90.00
_cell_angle_gamma 90.00
_symmetry_space_group_name_H-M 'P m -3 n'
_symmetry_Int_Tables_number 223
_symmetry_space_group_name_Hall '-P 4n 2 3'
loop_
_atom_site_label
_atom_site_type_symbol
_atom_site_fract_x
_atom_site_fract_y
_atom_site_fract_z
_atom_site_occupancy
Cd1 Cd 0.000 0.000 0.000 1
Si1 Si 0.000 0.250 0.500 1
```

=====

## ii
A plane-wave DFT calculation with meta-GGA SCAN was carried out for a PBEsol-optimized structure of CdSi3.

Results
V, Å³ per atom: 16.86
Total moment, Bohr magnetons per cell: 0.0

CIF file:
```
data_CdSi3
_chemical_formula_sum 'Cd2 Si6'
_cell_length_a 5.474
_cell_length_b 9.090
_cell_length_c 2.710
_cell_angle_alpha 90.00
_cell_angle_beta 90.00
_cell_angle_gamma 90.00
_symmetry_space_group_name_H-M 'C m m m'
_symmetry_Int_Tables_number 65
_symmetry_space_group_name_Hall '-C 2 2'
loop_
_atom_site_label
_atom_site_type_symbol
_atom_site_fract_x
_atom_site_fract_y
_atom_site_fract_z
_atom_site_occupancy
Cd1 Cd 0.000 0.000 0.000 1
Si1 Si 0.000 0.500 0.000 1
Si2 Si 0.250 0.250 0.500 1
```

=====

The data favor ii; the next most stable structure lies 9.8 kJ/mol of atoms above it.

=====

## i
A plane-wave DFT calculation with meta-GGA SCAN was carried out for a PBEsol-optimized structure of CdSiTc2.

Results
V, Å³ per atom: 14.74
Total moment, Bohr magnetons per cell: 0.0

CIF file:
```
data_CdSiTc2
_chemical_formula_sum 'Cd4 Si4 Tc8'
_cell_length_a 6.178
_cell_length_b 6.178
_cell_length_c 6.178
_cell_angle_alpha 90.00
_cell_angle_beta 90.00
_cell_angle_gamma 90.00
_symmetry_space_group_name_H-M 'F -4 3 m'
_symmetry_Int_Tables_number 216
_symmetry_space_group_name_Hall 'F -4 2 3'
loop_
_atom_site_label
_atom_site_type_symbol
_atom_site_fract_x
_atom_site_fract_y
_atom_site_fract_z
_atom_site_occupancy
Cd1 Cd 0.000 0.000 0.000 1
Si1 Si 0.250 0.250 0.750 1
Tc1 Tc 0.000 0.000 0.500 1
Tc2 Tc 0.250 0.250 0.250 1
```

=====

## ii
A plane-wave DFT calculation with meta-GGA SCAN was carried out for a PBEsol-optimized structure of CdSiTc2.

Results
V, Å³ per atom: 14.42
Total moment, Bohr magnetons per cell: 0.0

CIF file:
```
data_CdSiTc2
_chemical_formula_sum 'Cd4 Si4 Tc8'